
Thursday, January 23, 2014

-- What comes next are data records, not part of the piece --
-- begin --
No. 1
GGA+U Mg2TaCrO6, optimized geometry; total magnetization = 0.000 μB per formula unit; energy relative to the elements = -2.949 eV/atom; corrected total energy (MP2020 scheme) = -8.389 eV/atom
1.0
-4.4175 1.9263 1.9171
-3.9109 -9.9466 1.1777
2.9057 -0.3126 7.0096
Mg O Ta Cr
8 24 4 4
direct
0.4898 0.2178 0.2500
0.9989 0.9810 0.2500
0.5101 0.7822 0.7500
0.0011 0.0190 0.7500
0.0011 0.5190 0.7500
0.4898 0.7178 0.2499
0.9991 0.4809 0.2499
0.5101 0.2821 0.7499
0.3741 0.9643 0.7500
0.8252 0.4066 0.9335
0.3172 0.3398 0.4335
0.1298 0.2188 0.7500
0.8251 0.9065 0.9334
0.8252 0.9065 0.5665
0.6828 0.1602 0.9334
0.6828 0.6602 0.5666
0.8702 0.2812 0.2501
0.6828 0.1602 0.5666
0.1748 0.0935 0.0665
0.8250 0.4065 0.5665
0.3172 0.8398 0.4333
0.3741 0.4643 0.7500
0.3172 0.8398 0.0666
0.6828 0.6602 0.9334
0.1748 0.5935 0.4334
0.6259 0.0357 0.2500
0.3171 0.3398 0.0667
0.6259 0.5357 0.2500
0.1750 0.0935 0.4335
0.1298 0.7188 0.7499
0.1750 0.5936 0.0666
0.8701 0.7812 0.2500
0.9999 0.7500 0.4999
0.0000 0.2500 0.5000
0.0000 0.2500 0.0000
0.0000 0.7500 0.9999
0.5000 0.9999 0.0000
0.5000 0.5000 0.4999
0.5001 0.9999 0.5002
0.5000 0.5001 0.0002

***

No. 2
GGA+U SrCa7Mn6Al2O21, optimized geometry; total magnetization = 22.000 μB per formula unit; SG = P1; energy relative to the elements = -2.710 eV/atom; corrected total energy (MP2020 scheme) = -7.631 eV/atom
1.0
10.8457 0.0000 0.0000
0.0797 10.9247 0.0000
0.0645 0.0804 15.3954
Sr Ca Mn Al O
4 28 24 8 84
direct
0.0000 0.0000 0.0000
0.0130 0.0259 0.2458
0.2506 0.2688 0.0134
0.7691 0.7725 0.2410
0.0036 0.5046 0.9731
0.0043 0.5493 0.7449
0.0118 0.0121 0.4856
0.0180 0.5091 0.5084
0.0194 0.4847 0.2472
0.2546 0.3091 0.7443
0.2552 0.7458 0.9834
0.2597 0.7469 0.4950
0.2629 0.7819 0.2524
0.2634 0.7896 0.7530
0.2815 0.2702 0.5005
0.2869 0.2924 0.2512
0.4988 0.5511 0.7440
0.5047 0.0034 0.4863
0.5108 0.4985 0.4995
0.5107 0.5069 0.2584
0.5134 0.4941 0.9864
0.5158 0.0545 0.2515
0.5211 0.0072 0.9879
0.5301 0.0094 0.7511
0.7372 0.7494 0.5047
0.7483 0.2633 0.9900
0.7495 0.2955 0.2422
0.7504 0.7801 0.7530
0.7617 0.7602 0.9786
0.7643 0.2606 0.4983
0.7660 0.2992 0.7480
0.9941 0.0350 0.7569
0.0013 0.2801 0.6260
0.0007 0.7740 0.6237
0.0094 0.7763 0.3855
0.0101 0.7674 0.8695
0.0160 0.2686 0.8689
0.2572 0.5288 0.6225
0.2602 0.0239 0.3704
0.2598 0.5205 0.8697
0.2618 0.5188 0.3747
0.2700 0.0361 0.6357
0.2799 0.5444 0.1305
0.4995 0.7670 0.3775
0.5011 0.7780 0.6210
0.5057 0.7747 0.8702
0.5079 0.2767 0.6271
0.5120 0.7636 0.1105
0.5132 0.2773 0.1213
0.5198 0.2719 0.8676
0.7450 0.5060 0.3758
0.7540 0.5276 0.6240
0.7605 0.0196 0.8707
0.7601 0.5238 0.8705
0.7687 0.5270 0.1214
0.7801 0.0156 0.6137
0.0059 0.7397 0.1092
0.0350 0.2760 0.3924
0.2405 0.0057 0.8764
0.3156 0.0152 0.1194
0.5180 0.2561 0.3799
0.7416 0.9956 0.3718
0.7619 0.0482 0.1302
0.9796 0.2772 0.1089
0.0479 0.7699 0.7458
0.0488 0.2488 0.7456
0.0864 0.6219 0.3756
0.1039 0.1331 0.3676
0.1160 0.6414 0.5992
0.1170 0.6263 0.8855
0.1225 0.2993 0.1558
0.1356 0.1344 0.8932
0.1482 0.8713 0.8923
-- stop --

Guns on a Train

No more electronics in public.
Okay this is a huge topic in this society now a days. Technology is advancing faster than any of us can imagine. But there needs to be a law, yes I said it, a law to limit the use of electronics in public. There have been multiple crimes, many of which could have been prevented had someone looked up from their device.
Just not too long ago, a man was caught on a subway camera with a gun. This is not a restaurant subway, but a real, train car subway. On the security camera you can see the man pull out the gun on a crowded train. Wave it around in the air, and even point it at the person across the aisle SEVERAL times. Everyone on the train was too caught up in their electronics to look up.
Towards the end of the train ride he still had the gun out. As the train came to a stop he pulled the gun out again and shot a man in the back of the head. Could this not be the wakeup call that everyone around the world needs to realize. If one person that day would have looked up, then they would have seen the gun, and been able to do something about it. Then the innocent man wouldn’t have had to die.
It is sad and depressing that it takes the death of an innocent human being, such as ourselves, for us to realize the danger of technology advancing so fast. That man did not deserve to die.
We need to set a law banning and type of technology in public unless being used to contact a loved one by calling not texting. The flaw of the law could be to allow the usage of technology in homes. But nowhere else. This could definitely lower the number of crimes that are committed. Back in the older days they never had to worry about technology. When you would be on a train, you would talk to the people around you, not sit alone and shun yourself off from the rest of the world. The use of technology is like a type of social acceptance. The thought of having to use it, to make ones self feel better about being alone. You need to put down the phone once in a while. A little sociability isn’t going to kill you.

### The text is interrupted by materials data
~~~
No. 1
# Tm2InAu2

An optimized crystal structure of Tm2InAu2 (PBE, the Materials Project database).

```
Tm2InAu2
1.0
-2.143 -2.758 1.006
-6.420 4.586 -1.103
-0.432 -2.427 -7.576
Tm In Au
4 2 4
Direct
0.000 0.169 0.331 Tm
0.000 0.831 0.669 Tm
0.000 0.669 0.169 Tm
0.000 0.331 0.831 Tm
0.500 0.000 0.000 In
0.500 0.500 0.500 In
0.500 0.371 0.129 Au
0.500 0.629 0.871 Au
0.500 0.871 0.371 Au
0.500 0.129 0.629 Au
```

Output
Space-group type ... P4/mbm
ΔH_f (0 K) ... -0.8108 eV per atom
Energy above the lowest structure with this stoichiometry ... 0.000 eV/atom


No. 2
# TmInAu2

An optimized crystal structure of TmInAu2 (PBE, the Materials Project database).

```
TmInAu2
1.0
0.000 3.482 3.482
3.482 0.000 3.482
3.482 3.482 0.000
Tm In Au
1 1 2
Direct
0.500 0.500 0.500 Tm
0.000 0.000 0.000 In
0.250 0.250 0.250 Au
0.750 0.750 0.750 Au
```

Output
Space-group type ... Fm-3m
ΔH_f (0 K) ... -0.6959 eV per atom


No. 3
# UInAu2

An optimized crystal structure of UInAu2 (PBE, the Materials Project database).

```
UInAu2
1.0
0.000 3.536 3.536
3.536 0.000 3.536
3.536 3.536 0.000
U In Au
1 1 2
Direct
0.500 0.500 0.500 U
0.000 0.000 0.000 In
0.250 0.250 0.250 Au
0.750 0.750 0.750 Au
```

Output
Space-group type ... Fm-3m
ΔH_f (0 K) ... -0.2206 eV per atom


No. 4
# ZnIn3Au12

An optimized crystal structure of ZnIn3Au12 (PBE, the Materials Project database).

```
ZnIn3Au12
1.0
-4.414 1.354 1.190
-2.010 -3.336 -3.658
-0.453 -8.536 8.034
Zn In Au
1 3 12
Direct
0.500 0.668 0.000 Zn
0.500 0.666 0.500 In
0.000 0.334 0.751 In
0.000 0.334 0.249 In
0.000 0.345 0.000 Au
0.000 0.335 0.500 Au
0.500 0.666 0.756 Au
0.500 0.666 0.244 Au
0.500 0.165 0.123 Au
0.500 0.164 0.627 Au
0.500 0.165 0.877 Au
0.500 0.164 0.373 Au
0.000 0.830 0.120 Au
0.000 0.835 0.626 Au
0.000 0.830 0.880 Au
0.000 0.835 0.374 Au
```

Output
Space-group type ... Pmm2
Magnetic moment ... 0.007 μB per atom
ΔH_f (0 K) ... -0.1205 eV per atom


No. 5
# Nd2IrAu

An optimized crystal structure of Nd2IrAu (PBE, the Materials Project database).

```
Nd2IrAu
1.0
0.000 3.631 3.631
3.631 0.000 3.631
3.631 3.631 0.000
Nd Ir Au
2 1 1
Direct
0.250 0.250 0.250 Nd
0.750 0.750 0.750 Nd
0.000 0.000 0.000 Ir
0.500 0.500 0.500 Au
```

Output
Space-group type ... Fm-3m
Magnetic moment ... 0.000 μB per atom
ΔH_f (0 K) ... -0.6782 eV per atom


No. 6
# Pm2IrAu

An optimized crystal structure of Pm2IrAu (PBE, the Materials Project database).

```
Pm2IrAu
1.0
0.000 3.607 3.607
3.607 0.000 3.607
3.607 3.607 0.000
Pm Ir Au
2 1 1
Direct
0.750 0.750 0.750 Pm
0.250 0.250 0.250 Pm
0.500 0.500 0.500 Ir
0.000 0.000 0.000 Au
```

Output
Space-group type ... Fm-3m
ΔH_f (0 K) ... -0.7136 eV per atom


No. 7
# Sm2IrAu

An optimized crystal structure of Sm2IrAu (PBE, the Materials Project database).

```
Sm2IrAu
1.0
-0.727 -3.280 3.808
-4.236 0.247 2.790
-3.528 -3.629 -0.413
Sm Ir Au
2 1 1
Direct
0.250 0.250 0.250 Sm
0.750 0.750 0.750 Sm
0.000 0.000 0.000 Ir
0.500 0.500 0.500 Au
```

Output
Space-group type ... Fm-3m
~~~


  1. Kid, I want to apologize for my last comment. After reading this blog post I realized something I suspected after reading your reply and you saying you are a high school student. I realized you are a special needs student, not there is any thing wrong with that and that you blog once a week for a class, I am deeply sorry if I hurt your feels and meant no disrespect and I hope you forgive me.

  2. First of all, there would be no way to enforce this... It would be like trying to ban cellphones in school. What would be the punishment for using technology in public? Second of all if you have ever been on a train in a large city you would know that people often tend to mind their own business and look down just trying to stay out of things (I would assume people kept this attitude in the old days), and do you have any proof that they were engrossed only in their cell phones? I would bet many people were also reading a book or newspaper. I actually found a quote from the District Attorney of San Francisco stating that they were not only on their cell phones. "These people are in very close proximity with him, and nobody sees this. They're just so engrossed, texting and reading and whatnot. They're completely oblivious of their surroundings." I don't actually see how the advance of technology is associated to this event. "Smart Phones" have been around since 1993 so it's not the advance that would be the problem but the prevalence.
